• Brief:
Could you type out everything further down without additions?

• Contents:
- - -
VASP calculation (PBE-GGA) on MgAlIrPd after structural relaxation.

Summary:
Energy relative to the elements   -0.751 eV per atom
Density   9.92 g cm⁻³
Fermi-level density of states   0.2808 states/eV per atom

Lattice parameters (Å, degrees): 4.359 4.359 4.359 60.00 60.00 60.00
Element x y z (fractional)
Mg  0.500  0.500  0.500
Ir  0.250  0.250  0.250
Al  0.000  0.000  0.000
Pd  0.750  0.750  0.750

***

VASP calculation (PBE-GGA) on KSrCo2 after structural relaxation.

Summary:
Energy relative to the elements   0.542 eV per atom
Density   3.79 g cm⁻³
Fermi-level density of states   0.9317 states/eV per atom
Energy above the lowest structure with this stoichiometry   171 meV/atom

Lattice parameters (Å, degrees): 3.371 3.371 9.434 90.00 90.00 90.00
Element x y z (fractional)
Co  0.000  0.000  0.091
Co  0.500  0.500  0.141
K  0.000  0.000  0.422
Sr  0.500  0.500  0.847

***

VASP calculation (PBE-GGA) on InGaBi2Pd after structural relaxation.

Summary:
Energy relative to the elements   0.320 eV per atom
Density   8.01 g cm⁻³
Fermi-level density of states   0.8722 states/eV per atom

Lattice parameters (Å, degrees): 5.563 4.747 5.563 90.00 90.00 90.00
Element x y z (fractional)
Ga  0.000  0.000  0.000
Bi  0.000  0.000  0.500
Bi  0.500  0.000  0.000
Pd  0.000  0.500  0.000
In  0.500  0.500  0.500

***

VASP calculation (PBE-GGA) on Tb7CeIn4 after structural relaxation.

Summary:
Energy relative to the elements   -0.102 eV per atom
Density   7.93 g cm⁻³
Fermi-level density of states   1.3227 states/eV per atom

Lattice parameters (Å, degrees): 5.634 9.287 7.832 74.46 68.92 72.34
Element x y z (fractional)
Tb  0.792  0.879  0.537
Tb  0.208  0.121  0.463
Tb  0.065  0.601  0.268
Tb  0.935  0.399  0.732
Tb  0.275  0.668  0.782
Tb  0.500  0.000  0.000
Tb  0.725  0.332  0.218
Ce  0.000  0.000  0.000
In  0.560  0.246  0.635
In  0.440  0.754  0.365
In  0.680  0.665  0.975
In  0.320  0.335  0.025

***

VASP calculation (PBE-GGA) on AcGe2Pb after structural relaxation.

Summary:
Energy relative to the elements   -0.352 eV per atom
Density   8.70 g cm⁻³
Fermi-level density of states   0.6271 states/eV per atom
Energy above the lowest structure with this stoichiometry   0 meV/atom

Lattice parameters (Å, degrees): 4.999 7.000 12.645 90.00 90.00 90.00
Element x y z (fractional)
Ac  0.750  0.336  0.351
Ac  0.250  0.664  0.649
Ac  0.750  0.836  0.149
Ac  0.250  0.164  0.851
Ge  0.250  0.017  0.314
Ge  0.750  0.983  0.686
Ge  0.250  0.517  0.186
Ge  0.750  0.483  0.814
Ge  0.250  0.152  0.125
Ge  0.750  0.848  0.875
Ge  0.250  0.652  0.375
Ge  0.750  0.348  0.625
Pb  0.750  0.342  0.053
Pb  0.250  0.658  0.947
Pb  0.750  0.842  0.447
Pb  0.250  0.158  0.553

***

VASP calculation (PBE-GGA) on K2SrNbSe4 after structural relaxation.

Summary:
Energy relative to the elements, uncorrected   -1.114 eV per atom
Density   3.24 g cm⁻³
Fermi-level density of states   0.5372 states/eV per atom

Lattice parameters (Å, degrees): 7.330 7.330 7.330 98.05 115.46 115.46
Element x y z (fractional)
K  0.500  0.750  0.250
K  0.000  0.000  0.000
Sr  0.500  0.250  0.750
Nb  0.000  0.500  0.500
Se  0.604  0.414  0.433
Se  0.020  0.190  0.586
Se  0.980  0.567  0.171
Se  0.396  0.829  0.810

***

VASP calculation (PBE-GGA) on CaTa2Se after structural relaxation.

Summary:
Energy relative to the elements, uncorrected   0.592 eV per atom
Density   9.26 g cm⁻³
Fermi-level density of states   1.4105 states/eV per atom

Lattice parameters (Å, degrees): 3.026 5.190 5.488 90.00 90.00 90.00
Element x y z (fractional)
Ca  0.500  0.500  0.250
Se  0.500  0.500  0.750
Ta  0.000  0.000  0.009
Ta  0.000  0.000  0.491

***

VASP calculation (PBE-GGA) on LaNi3H after structural relaxation.

Summary:
Density   4.83 g cm⁻³
Fermi-level density of states   0.1142 states/eV per atom
Energy above the lowest structure with this stoichiometry   1819 meV/atom

Lattice parameters (Å, degrees): 4.771 4.771 4.771 90.00 90.00 90.00
Element x y z (fractional)
Ni  0.000  0.500  0.000
- - -

• Outcome:
VASP calculation (PBE-GGA) on MgAlIrPd after structural relaxation.

Summary:
Energy relative to the elements   -0.751 eV per atom
Density   9.92 g cm⁻³
Fermi-level density of states   0.2808 states/eV per atom

Lattice parameters (Å, degrees): 4.359 4.359 4.359 60.00 60.00 60.00
Element x y z (fractional)
Mg  0.500  0.500  0.500
Ir  0.250  0.250  0.250
Al  0.000  0.000  0.000
Pd  0.750  0.750  0.750

***

VASP calculation (PBE-GGA) on KSrCo2 after structural relaxation.

Summary:
Energy relative to the elements   0.542 eV per atom
Density   3.79 g cm⁻³
Fermi-level density of states   0.9317 states/eV per atom
Energy above the lowest structure with this stoichiometry   171 meV/atom

Lattice parameters (Å, degrees): 3.371 3.371 9.434 90.00 90.00 90.00
Element x y z (fractional)
Co  0.000  0.000  0.091
Co  0.500  0.500  0.141
K  0.000  0.000  0.422
Sr  0.500  0.500  0.847

***

VASP calculation (PBE-GGA) on InGaBi2Pd after structural relaxation.

Summary:
Energy relative to the elements   0.320 eV per atom
Density   8.01 g cm⁻³
Fermi-level density of states   0.8722 states/eV per atom

Lattice parameters (Å, degrees): 5.563 4.747 5.563 90.00 90.00 90.00
Element x y z (fractional)
Ga  0.000  0.000  0.000
Bi  0.000  0.000  0.500
Bi  0.500  0.000  0.000
Pd  0.000  0.500  0.000
In  0.500  0.500  0.500

***

VASP calculation (PBE-GGA) on Tb7CeIn4 after structural relaxation.

Summary:
Energy relative to the elements   -0.102 eV per atom
Density   7.93 g cm⁻³
Fermi-level density of states   1.3227 states/eV per atom

Lattice parameters (Å, degrees): 5.634 9.287 7.832 74.46 68.92 72.34
Element x y z (fractional)
Tb  0.792  0.879  0.537
Tb  0.208  0.121  0.463
Tb  0.065  0.601  0.268
Tb  0.935  0.399  0.732
Tb  0.275  0.668  0.782
Tb  0.500  0.000  0.000
Tb  0.725  0.332  0.218
Ce  0.000  0.000  0.000
In  0.560  0.246  0.635
In  0.440  0.754  0.365
In  0.680  0.665  0.975
In  0.320  0.335  0.025

***

VASP calculation (PBE-GGA) on AcGe2Pb after structural relaxation.

Summary:
Energy relative to the elements   -0.352 eV per atom
Density   8.70 g cm⁻³
Fermi-level density of states   0.6271 states/eV per atom
Energy above the lowest structure with this stoichiometry   0 meV/atom

Lattice parameters (Å, degrees): 4.999 7.000 12.645 90.00 90.00 90.00
Element x y z (fractional)
Ac  0.750  0.336  0.351
Ac  0.250  0.664  0.649
Ac  0.750  0.836  0.149
Ac  0.250  0.164  0.851
Ge  0.250  0.017  0.314
Ge  0.750  0.983  0.686
Ge  0.250  0.517  0.186
Ge  0.750  0.483  0.814
Ge  0.250  0.152  0.125
Ge  0.750  0.848  0.875
Ge  0.250  0.652  0.375
Ge  0.750  0.348  0.625
Pb  0.750  0.342  0.053
Pb  0.250  0.658  0.947
Pb  0.750  0.842  0.447
Pb  0.250  0.158  0.553

***

VASP calculation (PBE-GGA) on K2SrNbSe4 after structural relaxation.

Summary:
Energy relative to the elements, uncorrected   -1.114 eV per atom
Density   3.24 g cm⁻³
Fermi-level density of states   0.5372 states/eV per atom

Lattice parameters (Å, degrees): 7.330 7.330 7.330 98.05 115.46 115.46
Element x y z (fractional)
K  0.500  0.750  0.250
K  0.000  0.000  0.000
Sr  0.500  0.250  0.750
Nb  0.000  0.500  0.500
Se  0.604  0.414  0.433
Se  0.020  0.190  0.586
Se  0.980  0.567  0.171
Se  0.396  0.829  0.810

***

VASP calculation (PBE-GGA) on CaTa2Se after structural relaxation.

Summary:
Energy relative to the elements, uncorrected   0.592 eV per atom
Density   9.26 g cm⁻³
Fermi-level density of states   1.4105 states/eV per atom

Lattice parameters (Å, degrees): 3.026 5.190 5.488 90.00 90.00 90.00
Element x y z (fractional)
Ca  0.500  0.500  0.250
Se  0.500  0.500  0.750
Ta  0.000  0.000  0.009
Ta  0.000  0.000  0.491

***

VASP calculation (PBE-GGA) on LaNi3H after structural relaxation.

Summary:
Density   4.83 g cm⁻³
Fermi-level density of states   0.1142 states/eV per atom
Energy above the lowest structure with this stoichiometry   1819 meV/atom

Lattice parameters (Å, degrees): 4.771 4.771 4.771 90.00 90.00 90.00
Element x y z (fractional)
Ni  0.000  0.500  0.000